
joined 10 months ago
[–] [email protected] 1 points 9 months ago

But why does he need a smartphone? Is it because his education demands it or all his friends have one and he wants it?

It is good to keep one updated in terms of technology and content but having a smartphone at such a young age is probably not a good idea. But if he insists, 13 or 14 series would do. Personally, he can make use of the iPad or a Galaxy Tab for both studying and movies or games. I remember sharing my phone with my brother when I was 16. It was a Sony K310i, oh man, the fun we had using that phone, having an IR blaster to transfer mp3 files haha.

[–] [email protected] 1 points 9 months ago

Hey Buddy,

You can just shoot in 4k60fps and that footage would be crisp and perfect. ProRes is basically for people who wish to tweak the details in the video like improving highlights or white balance change, etc. I would say it is not that useful and if your videos are recorded in a well-lit room you are totally fine to use the 4k60fps option. For storage, you can use an HDD or SSD, and store it safely, and let people know where to find it and it is best not to encrypt or password-protect the storage. Sometimes shit happens with password protection and we don't want that now. Multiple copies are appreciated.

You are doing a great job as a dad and I am sure your daughter will cherish all the effort you are putting in, to make her happy. I wish you all the warmth you can get.

[–] [email protected] 1 points 10 months ago (1 children)

I don't own an iPhone, but your best bet would be to clean your lens using a microfiber cloth. Open the camera app, point it towards street light (at least 2 sources of light), and then wipe the camera lens from a single direction. Now you will see the lines change direction, do this multiple times until the lines become faint. Dont randomly rub your camera lens, do it gently from one direction to other. Sometimes, if it is too dirty (or greasy), use a drop of water and then rub it and then use a dry microbifer and gently wipe it.

[–] [email protected] 1 points 10 months ago

If you plan to keep it for 5 years or more, better go with the 14th Gen. The difference in pricing is not that huge.

# Someone pasted crystal structures at this point
VASP calculation (PBE) on a relaxed Na9CaNb5Si9O36 crystal.

Output
calculated volume	13.7	Å³ per atom
electronic total energy	-2662.91	eV per cell

Structure (CIF):
```
data_Na9CaNb5Si9O36
_cell_length_a 9.171
_cell_length_b 22.562
_cell_length_c 24.194
_cell_angle_alpha 89.96
_cell_angle_beta 79.09
_cell_angle_gamma 89.98
_space_group_name_H-M_alt 'P 1'
_space_group_IT_number 1
loop_
_space_group_symop_operation_xyz
'x,y,z'
loop_
_atom_site_label
_atom_site_type_symbol
_atom_site_fract_x
_atom_site_fract_y
_atom_site_fract_z
Na1 Na 0.000 0.000 0.000
Na2 Na 0.001 0.249 0.673
Na3 Na 0.012 0.413 0.354
Na4 Na 0.074 0.087 0.122
Na5 Na 0.076 0.257 0.459
Na6 Na 0.092 0.912 0.436
Na7 Na 0.095 0.340 0.785
Na8 Na 0.100 0.836 0.789
Na9 Na 0.123 0.741 0.130
Na10 Na 0.186 0.588 0.237
Na11 Na 0.202 0.666 0.561
Na12 Na 0.211 0.166 0.561
Na13 Na 0.216 0.247 0.213
Na14 Na 0.251 0.909 0.237
Na15 Na 0.298 0.747 0.674
Na16 Na 0.309 0.998 0.344
Na17 Na 0.315 0.587 0.999
Na18 Na 0.321 0.498 0.343
Na19 Na 0.360 0.088 0.662
Na20 Na 0.363 0.246 0.014
Na21 Na 0.419 0.826 0.118
Na22 Na 0.420 0.249 0.794
Na23 Na 0.428 0.330 0.118
Na24 Na 0.439 0.756 0.459
Na25 Na 0.447 0.412 0.436
Na26 Na 0.480 0.589 0.781
Na27 Na 0.485 0.411 0.236
Na28 Na 0.518 0.590 0.583
Na29 Na 0.527 0.165 0.898
Na30 Na 0.527 0.247 0.559
Na31 Na 0.538 0.667 0.897
Na32 Na 0.546 0.746 0.213
Na33 Na 0.552 0.090 0.238
Na34 Na 0.597 0.746 0.012
Na35 Na 0.608 0.913 0.355
Na36 Na 0.649 0.003 0.676
Na37 Na 0.650 0.504 0.676
Na38 Na 0.663 0.087 0.998
Na39 Na 0.664 0.256 0.344
Na40 Na 0.713 0.089 0.781
Na41 Na 0.720 0.243 0.131
Na42 Na 0.751 0.916 0.106
Na43 Na 0.755 0.836 0.456
Na44 Na 0.764 0.337 0.456
Na45 Na 0.764 0.748 0.795
Na46 Na 0.778 0.586 0.121
Na47 Na 0.861 0.665 0.233
Na48 Na 0.866 0.254 0.886
Na49 Na 0.873 0.090 0.583
Na50 Na 0.879 0.168 0.233
Na51 Na 0.888 0.747 0.560
Na52 Na 0.953 0.590 0.663
Na53 Na 0.968 0.755 0.344
Na54 Na 0.977 0.499 0.004
Ca1 Ca 0.311 0.353 0.345
Ca2 Ca 0.317 0.852 0.346
Ca3 Ca 0.427 0.183 0.118
Ca4 Ca 0.429 0.682 0.117
Ca5 Ca 0.649 0.150 0.675
Ca6 Ca 0.651 0.651 0.675
Nb1 Nb 0.092 0.976 0.788
Nb2 Nb 0.093 0.477 0.789
Nb3 Nb 0.094 0.689 0.788
Nb4 Nb 0.098 0.187 0.786
Nb5 Nb 0.202 0.318 0.564
Nb6 Nb 0.203 0.523 0.566
Nb7 Nb 0.206 0.023 0.566
Nb8 Nb 0.209 0.818 0.564
Nb9 Nb 0.316 0.148 0.343
Nb10 Nb 0.316 0.648 0.343
Nb11 Nb 0.426 0.981 0.117
Nb12 Nb 0.427 0.481 0.117
Nb13 Nb 0.532 0.815 0.898
Nb14 Nb 0.535 0.020 0.895
Nb15 Nb 0.541 0.316 0.898
Nb16 Nb 0.546 0.520 0.895
Nb17 Nb 0.648 0.855 0.675
Nb18 Nb 0.651 0.356 0.675
Nb19 Nb 0.758 0.184 0.453
Nb20 Nb 0.761 0.979 0.452
Nb21 Nb 0.762 0.479 0.452
Nb22 Nb 0.763 0.684 0.454
Nb23 Nb 0.869 0.520 0.231
Nb24 Nb 0.872 0.314 0.230
Nb25 Nb 0.874 0.021 0.232
Nb26 Nb 0.874 0.812 0.230
Nb27 Nb 0.984 0.360 0.007
Nb28 Nb 0.984 0.646 0.006
Nb29 Nb 0.985 0.146 0.007
Nb30 Nb 0.988 0.858 0.003
Si1 Si 0.002 0.082 0.690
Si2 Si 0.008 0.420 0.663
Si3 Si 0.019 0.251 0.342
Si4 Si 0.053 0.083 0.453
Si5 Si 0.070 0.917 0.133
Si6 Si 0.073 0.253 0.104
# The crystal structures stop here

[–] [email protected] 1 points 10 months ago

In terms of benchmarks, my 12700H seems to beat the M1 Max in almost all the benchmarks (excluding the GPU). So, there is no doubt that your 13700K would destroy M1 Max. But, optimization is the key, Microsoft seems to be doing a fairly good job recently to optimize and fine-tune Windows. IMO, if Microsoft spent some amount of their time optimizing Windows, they would clearly beat MacOS. No doubt about that.

[–] [email protected] 1 points 10 months ago

Not true. PCIE Gen 4 SSDs can go to 6 GB/s (or even more). Even Apple's most expensive laptop I guess is limited to 4.5 GB/s (if I am right). Their recent M3 SSDs go up to like 4GB/s (as shown by MaxTech).

[–] [email protected] 0 points 10 months ago

When you feel things are not functioning the way it is. On laptops, I previously jumped from 3rd Gen (i5-3210M) to 8th Gen (8550U), and now currently on 12th Gen (12700H+RTX 3060). Buying the U series was a mistake, if not I would have not gotten my 12th Gen laptop and probably bought a new one with the 14th Gen. My guess is, every 5-6 years should be good enough. Anything less than 3 years is not recommended unless you really need to extract and use every bit of processing power that the new gen delivers.

For the gaming scenario, most games above 1080p are GPU throttled and not CPU, so you might not gain a lot. My 12700H literally has the same performance as your 10700K and I would wager a guess, that it can last for 2-3 more years at least. Use the money to get a new GPU (if you game), or a better monitor.